Tuesday, July 20, 2010

Close Encounters of the International Kind

"Show up. Speak French." -My friend Mia

"It takes all kinds to make a world."

"'Ça va?' 'Ça va. Ça va?' 'Ça va.'" -"Foux Da Fa Fa" by Flight of the Conchords

Kiel vi fartas?: Mi fartas suffiĉe bone. (I'm doing pretty okay.)

It's been a busy last couple of weeks for this blogger. I've continued in learning and using my Esperanto, for better or for worse, and it's hard to keep it together amidst all of the classes I'm taking, the things I'm trying to do to relax, and oh-good-God-I-have-a-week-to-memorize-a-bunch-of-music (workshop run by my voice teacher).

I've also had interesting developments in the multicultural-interaction department. There's a happy and a crappy, so I'll start with the crappy and get it out of the way.

Crappy: Flirtatious Brazillian

One of the great things about the lernu! site is that it fosters communications and friendships between people of different countries and cultures. Within a few days of my joining the site, I received a message from a member, which simply read "Hello!" in Esperanto. I responded, saying "Hi, my name's [name], what's yours?" After a long while, several weeks, the user responded, and I took a moment to check out their profile. Ah, he was a Brazillian! This is exciting.

We've been corresponding off-and-on for a couple of weeks, now, and as I sort-of anticipated, Mr. Brazil started getting... flirtatious. Fairly subtle, too, like calling me "My dear". Having had a previous experience on the site already with a guy who got fairly forward (note: my age is not posted on my profile), I was suspicious, but not overly so.

Then, Mr. Brazil said it: "Do you have Skype? I like you."

Commence cringing. My mother had warned me that a Brazilian man would be more forward, but I wasn't expecting this kind of forward. The best plan of attack was to immediately cool off. He hasn't contacted me all week. Yay?

Happy: Cute French Guy

I'll say it now: I love swing-dancing. It's fun, it's flirty, and it's a great thing to do with one's friends. The other day, I went to the monthly swing dance at a community center in a nearby city, where I met up with a bunch of buddies from church. One of my friends, Mia, had specifically requested my presence, because she happened to have a certain French exchange student for a few weeks, and she had brought him along. Apparently, I'm the only person she knows who speaks French.

Needless to say, I used this to my advantage a bit. I followed Mia's "No flirting" rule, but I still had fun with Mr. Dijon. ;) Specifically, I taught him to dance. In French.

Evening made? I think so. He was highly attractive. And he wore a v-neck t-shirt (v-necks on guys are very attractive to me, okay?).


Another happy recently! I'm in a video announcing the viewer takeover of the DIY fashion website, Threadbanger. The idea of the site is that it's part online TV channel, part community. Unfortunately, the hosts of the two main TV shows were FIRED (I don't know why). Upset, devastated, confused, a few of us regular contributors to the forums (including many a moderator) decided to band together and take over the site in our own way, producing our own tutorial videos. I am officially in two of the videos (one's been posted, one's coming soon), and I plan on making several tutorials to share when I have a few hours to myself.

Go ahead and check out the video! I'm so excited to be lumped together with such creative people.

Until next time, friendsies!

Saturday, July 3, 2010

Books. Books. Books. Ohmigod, books.

"Words are, of course, the most powerful drug used by mankind." -Rudyard Kipling

"I cannot live without books" -Thomas Jefferson

"A bookstore is one of the only pieces of evidence we have that people are still thinking." -Jerry Seinfeld

Kiel vi fartas? (How are you doing?): Mi fartas lace kaj bone. (I am tired and good.) :D

After my wakeup call during my last post, I've gotten back in the groove of studying Esperanto fairly regularly. This is a very good thing, considering that I found out that if a person were to study Esperanto for ten minutes a day, in four months they'd be essentially fluent.

You have no idea how exciting that sounds to a lingvemulo like me. After three years of studying French, I am definitely not at a level of fluency where I can confidently communicate with a native speaker at all, or even discuss abstract topics with a fellow student.

Alas, I've been trying to do some more studying (whilst my parents watch Tim Burton's Alice in Wonderland), but the stupid Lernu! site is down. I go to the page and it's blank except for: "Ŝajne estas iuj problemoj pri la datumbazo, bv. reveni pli poste." I think this means that there's some problems with the server and that I should return later.

Well, shoot.

What's all this about... books?

*spazz* Igotnewbookstoday!! :D

A fantastic bookstore in Seattle, Elliott Bay Book Co., had changed locations since my family was last there, so today after work we decided to go check out the new place and get some reading material. Despite having to walk past the large, brightly-colored SEX section to get to the good stuff (Philosophy, Women's and LGBT Studies, Linguistics, etc.), I had a ton of fun poking around. I bought this fantastic thing called In the Land of Invented Languages. There's a whole section in here on the history of Esperanto, so I'm starting with that, and then I'll read the rest of the book. I want to put up an excerpt which I found deep and highly amusing at the same time:

What comes next are materials data, not part of the entry.
1.
A plane-wave DFT calculation with PBE was carried out for a relaxed structure of CeHo2ThN4.

Calculated values
E_form (uncorrected), eV per atom: -1.626
Crystal system: monoclinic
ρ, Mg/m³: 10.034
M_tot, μB/cell: 0.4
Electronic total energy, eV per formula unit: -68.8

abc: 3.5410 6.1284 6.1310
angles: 109.45 90.00 90.00
With the nearest neighbours (Å) after each atom.
Fractional coordinates of all 8 atoms:
Th 0.5000 0.5000 0.0000  6 N 2.52
Ho 0.5000 0.0000 0.5000  6 N 2.48
Ho 0.0000 0.5000 0.5000  6 N 2.48-2.49
N 0.0000 0.7522 0.2563  3 Ho 2.48, 1 Ce 2.52, 2 Th 2.52
Ce 0.0000 0.0000 0.0000  6 N 2.52
N 0.0000 0.2478 0.7437  3 Ho 2.48, 1 Ce 2.52, 2 Th 2.52
N 0.5000 0.2518 0.2554  3 Ho 2.48-2.49, 1 Th 2.52, 2 Ce 2.52
N 0.5000 0.7482 0.7446  3 Ho 2.48-2.49, 1 Th 2.52, 2 Ce 2.52

***

2.
A plane-wave DFT calculation with PBE was carried out for a relaxed structure of CeHo3Th2N6.

Calculated values
E_form (uncorrected), eV per atom: -1.629
Crystal system: monoclinic
ρ, Mg/m³: 10.379
M_tot, μB/cell: 0.1
Electronic total energy, eV per formula unit: -104.0

abc: 3.5481 7.0852 7.9356
angles: 102.91 102.92 90.00
With the nearest neighbours (Å) after each atom.
Fractional coordinates of all 12 atoms:
Ho 0.8351 0.1663 0.6702  6 N 2.47-2.52
N 0.0011 0.7476 0.0023  3 Ho 2.47-2.49, 1 Th 2.51, 2 Ce 2.52
Ho 0.5000 0.5000 0.0000  6 N 2.48-2.49
N 0.3351 0.4131 0.6701  3 Ho 2.48-2.49, 3 Th 2.54-2.56
Ho 0.1649 0.8337 0.3298  6 N 2.47-2.52
Th 0.8346 0.6694 0.6693  6 N 2.51-2.56
Th 0.1654 0.3306 0.3307  6 N 2.51-2.56
N 0.9989 0.2524 0.9977  3 Ho 2.47-2.49, 1 Th 2.51, 2 Ce 2.52
N 0.6649 0.5869 0.3299  3 Ho 2.48-2.49, 3 Th 2.54-2.56
Ce 0.5000 0.0000 0.0000  6 N 2.52-2.53
N 0.3322 0.9207 0.6644  3 Ho 2.48-2.52, 2 Th 2.52, 1 Ce 2.53
N 0.6678 0.0793 0.3356  3 Ho 2.48-2.52, 2 Th 2.52, 1 Ce 2.53

***

3.
A plane-wave DFT calculation with PBE was carried out for a relaxed structure of CeHoTiN3.

Calculated values
E_form (uncorrected), eV per atom: -1.319
Crystal system: monoclinic
ρ, Mg/m³: 6.801
M_tot, μB/cell: 1.4
Electronic total energy, eV per formula unit: -51.3

abc: 3.3863 7.1979 7.9240
angles: 93.15 90.00 90.00
With the nearest neighbours (Å) after each atom.
Fractional coordinates of all 12 atoms:
N 0.7500 0.3850 0.1312  3 Ho 2.21-2.41, 2 Ce 2.42
N 0.7500 0.1598 0.4577  3 Ti 1.99-2.03
Ce 0.7500 0.8488 0.8267  5 N 2.42-2.68
N 0.7500 0.8618 0.1656  1 Ti 1.99
Ho 0.2500 0.6244 0.1476  5 N 2.21-2.41
N 0.2500 0.8402 0.5423  3 Ti 1.99-2.03
Ti 0.2500 0.1214 0.5832  4 N 1.99-2.03
Ho 0.7500 0.3756 0.8524  5 N 2.21-2.41
N 0.2500 0.6150 0.8688  3 Ho 2.21-2.41, 2 Ce 2.42
Ce 0.2500 0.1512 0.1733  5 N 2.42-2.68
Ti 0.7500 0.8786 0.4168  4 N 1.99-2.03
N 0.2500 0.1382 0.8344  1 Ti 1.99

***

4.
A plane-wave DFT calculation with PBE was carried out for a relaxed structure of CeHo2TlN.

Calculated values
E_form (uncorrected), eV per atom: -0.842
Crystal system: tetragonal
ρ, Mg/m³: 10.021
M_tot, μB/cell: 0.8
Electronic total energy, eV per formula unit: -30.0
Back to the entry.

Still, it is not hard to understand why so many people find Esperanto so repellent. Language is not just a handy tool for packing up our thoughts and sending them along to others. It's an index to a set of experiences both shared and extremely personal... We love our languages for this... Compared with them, Esperanto is an insult... It asks us to give up what distinguishes us from the rest of the world for something that makes everyone in the world the same... Strange, then, that I don't think I've ever been anywhere more colorful than Esperantoland. On my second trip there... I was exposed to so much culture that I started to get a headache. We sang "Guantanamera" in Esperanto on ten separate occasions in ten different Cuban musical styles.

And with this, I'd like to segue into something that caught my attention a few days ago...


Crazy, huh? This goes beyond "It's ugly" (any language can be considered ugly...) and into "...Esperanto -- it's been tried, and it FAILED. Esperanto is a DEAD language, with a few wingnuts who insist it's some kind of 'perfect' solution. It's not, it's not even a LANGUAGE -- it's gibberish... Esperanto is an abysmal failure. If it were at all successful, it would be spoken by more than just a handful of self-righteous linguistic pricks. In fact, Esperanto was REJECTED by the world."

Someone actually wrote that on a blog post on http://www.change.org/. The original post wasn't even about Esperanto, but with debates about language usage and communication erupting in the comments section, this person contributed their harsh two cents.

My first question is: What on Earth did a language do to earn such violent commentary? Jeez, I haven't seen such a response since someone suggested that maybe it was okay to address Mexican immigrants in Spanish.

Second of all, I wanted to address specific points made by this person, in the hopes that any present or future readers here will better understand my madness.

1.) "...Esperanto-- it's been tried, and it FAILED." Now, then, is it really fair to say that a language has failed when it's still growing, and more speakers are coming all the time... and it's not even 200 years old?
2.) "It's not even a LANGUAGE-- it's gibberish..." So too is any language which cannot be understood by a listener. But more than that, if Esperanto is gibberish, it's the darn most organized gibberish I've ever seen. Being so nitpicky to ensure that all nouns end in "o" and all adjectives end in "a"? Jeez, Zamenhoff, you're a little OCD.
3.) "If it were at all successful, it would be spoken by more than just a handful of self-righteous linguistic pricks." Now, see here, besides the fact that two million is not "a handful" in any sense of the term, I see nothing self-righteous or prick-y about being interested in language. It's just part of being a linguist... okay, you're accurate there. A lot of people who speak Esperanto are linguistic-types, because they're language nerds. Like me. It's fun.

Are you gonna go into another full-blown rant?

Nah, I'm not really in the mood. I just wanted to respond without opening a massive can of worms.

That's the problem with a website geared towards debate and action. You get people who are willing to debate you into the ground.

With that, friends, I leave you with a common farewell of Esperanto:

Ĝis revida!